**Work order:**
The reader should say how many lines of the data underneath hold the word "results", as a bare number.

**Input:**
~~~
DFT (GGA-PBE) results for a relaxed Y5Ho2Th2 crystal.

Cell: 23.1286 3.4909 8.2744 Å, 90.00 103.49 90.00°
Last column: nearest neighbours and their distance in Å.
Space group C2/m (No. 12)
One atom of each set of equivalent atoms:
Y (0.0000, 0.0000, 0.0000)  4 Y 3.36-3.49, 4 Th 3.44, 2 Ho 3.60
Y (0.0906, 0.0000, 0.7362)  5 Y 3.36-3.55, 4 Th 3.48-3.64, 1 Ho 3.70
Y (0.1955, 0.5000, 0.5639)  1 Th 3.36, 6 Y 3.43-3.55, 3 Ho 3.49-3.55
Ho (0.1570, 0.0000, 0.1882)  2 Ho 3.49, 5 Y 3.49-3.70, 2 Th 3.57
Th (0.0514, 0.5000, 0.3632)  7 Y 3.36-3.64, 3 Th 3.49-3.65, 2 Ho 3.57

ρ in g cm⁻³: 6.33
Final energy in Ry/atom: -0.438
Polymorph energy (0 for the lowest one) in eV/atom: 0.036
Density of states at the Fermi level in states/eV per cell: 29.0
Energy of formation in eV per atom: 0.299
~~~

**Here it is:**
1